-- Activity --
Write out all of the notes below word for word.
-- File --
'''
No. 1
Starting from a structure optimized by DFT (PBE), the powder diffractogram of CsAgCl4 was computed for copper Kα.

Most intense lines, 15 to 90 degrees two-theta, sorted by position:
| Position (°2θ) | I/Imax |
| --- | --- |
| 18.7 | 100.0 |
| 19.8 | 38.1 |
| 25.1 | 24.3 |
| 27.7 | 30.2 |
| 28.4 | 22.7 |
| 29.4 | 61.5 |
| 34.9 | 31.4 |
| 40.5 | 22.3 |

Crystal structure
Unit cell a=7.484 b=6.280 c=10.428 alpha=90.00 beta=120.64 gamma=90.00
Atoms (fractional coordinates):
1 Cs 0.000 0.000 0.000
2 Cs 0.000 0.500 0.500
3 Ag 0.500 0.000 0.500
4 Ag 0.500 0.500 0.000
5 Cl 0.140 0.009 0.391
6 Cl 0.140 0.491 0.891
7 Cl 0.465 0.731 0.334
8 Cl 0.465 0.769 0.834
9 Cl 0.535 0.231 0.166
10 Cl 0.535 0.269 0.666
11 Cl 0.860 0.509 0.109
12 Cl 0.860 0.991 0.609


No. 2
Starting from a structure optimized by DFT (PBE), the powder diffractogram of SrAlPtO4 was computed for copper Kα.

Most intense lines, 15 to 90 degrees two-theta, sorted by position:
| Position (°2θ) | I/Imax |
| --- | --- |
| 21.3 | 100.0 |
| 28.3 | 52.7 |
| 30.9 | 56.6 |
| 32.2 | 21.2 |
| 32.4 | 63.8 |
| 42.6 | 23.5 |
| 43.4 | 36.5 |
| 52.8 | 23.0 |

Crystal structure
Unit cell a=5.587 b=5.587 c=6.967 alpha=90.00 beta=90.00 gamma=111.36
Atoms (fractional coordinates):
1 Sr 0.000 0.000 0.000
2 Sr 0.000 0.000 0.500
3 Al 0.381 0.619 0.750
4 Al 0.619 0.381 0.250
5 Pt 0.309 0.691 0.250
6 Pt 0.691 0.309 0.750
7 O 0.277 0.723 0.534
8 O 0.277 0.723 0.966
9 O 0.278 0.287 0.250
10 O 0.287 0.278 0.750
11 O 0.713 0.722 0.250
12 O 0.722 0.713 0.750
13 O 0.723 0.277 0.034
14 O 0.723 0.277 0.466


No. 3
Starting from a structure optimized by DFT (PBE), the powder diffractogram of MnPdSe4 was computed for copper Kα.

Most intense lines, 15 to 90 degrees two-theta, sorted by position:
| Position (°2θ) | I/Imax |
| --- | --- |
| 28.9 | 24.7 |
| 29.7 | 21.7 |
| 33.5 | 51.7 |
| 35.3 | 100.0 |
| 48.8 | 33.2 |
| 50.1 | 51.5 |
| 51.4 | 16.2 |
| 61.6 | 24.9 |

Crystal structure
Unit cell a=6.320 b=3.644 c=6.522 alpha=90.00 beta=112.75 gamma=90.00
Atoms (fractional coordinates):
1 Mn 0.000 0.000 0.000
2 Pd 0.500 0.500 0.000
3 Se 0.233 0.000 0.772
4 Se 0.251 0.500 0.226
5 Se 0.749 0.500 0.774
6 Se 0.767 0.000 0.228

=====

Starting from a PBE-relaxed structure, the powder X-ray diffraction pattern of Tb2PrDy2Mg was simulated for Cu Kα.
Kinematic intensities with the Lorentz-polarization factor, no thermal factor.

Structure:
```
Tb2PrDy2Mg
1.0
3.6827 0.0000 0.0000
0.0000 5.5587 0.0000
0.0000 0.0000 18.6458
Tb Pr Dy Mg
4 2 4 2
Direct
0.0000 0.0000 0.1835
0.0000 0.0000 0.8165
0.5000 0.5000 0.3165
0.5000 0.5000 0.6835
0.0000 0.5000 0.5000
0.5000 0.0000 0.0000
0.0000 0.0000 0.3648
0.0000 0.0000 0.6352
0.5000 0.5000 0.1352
0.5000 0.5000 0.8648
0.0000 0.5000 0.0000
0.5000 0.0000 0.5000
```

Peak list (12 most intense, 2θ = 10–80°, low angle first)
d 3.108, I = 48
d 3.097, I = 91
d 3.070, I = 68
d 2.916, I = 97
d 2.779, I = 78
d 2.564, I = 100
d 2.158, I = 28
d 2.072, I = 30
d 1.705, I = 27
d 1.621, I = 27
d 1.583, I = 38
d 1.535, I = 26



Starting from a PBE-relaxed structure, the powder X-ray diffraction pattern of La4Tb2Pm3 was simulated for Cu Kα.
Kinematic intensities with the Lorentz-polarization factor, no thermal factor.

Structure:
```
La4Tb2Pm3
1.0
3.6531 0.0000 0.0000
-1.8266 3.1637 0.0000
0.0000 0.0000 27.5136
La Tb Pm
4 2 3
Direct
0.0000 0.0000 0.0000
0.0000 0.0000 0.2204
0.3333 0.6667 0.3349
0.3333 0.6667 0.5572
0.0000 0.0000 0.6651
0.0000 0.0000 0.8749
0.0000 0.0000 0.4449
0.3333 0.6667 0.1086
0.3333 0.6667 0.7722
```

Peak list (12 most intense, 2θ = 10–80°, low angle first)
d 3.164, I = 54
d 3.057, I = 58
d 2.874, I = 81
d 2.743, I = 100
d 2.604, I = 15
d 2.198, I = 36
d 1.827, I = 42
d 1.759, I = 13
d 1.669, I = 27
d 1.568, I = 48
d 1.542, I = 12
d 1.520, I = 18



Starting from a PBE-relaxed structure, the powder X-ray diffraction pattern of Ce2Sb4Pd3 was simulated for Cu Kα.
Kinematic intensities with the Lorentz-polarization factor, no thermal factor.

Structure:
```
Ce2Sb4Pd3
'''
-- Outcome --
No. 1
Starting from a structure optimized by DFT (PBE), the powder diffractogram of CsAgCl4 was computed for copper Kα.

Most intense lines, 15 to 90 degrees two-theta, sorted by position:
| Position (°2θ) | I/Imax |
| --- | --- |
| 18.7 | 100.0 |
| 19.8 | 38.1 |
| 25.1 | 24.3 |
| 27.7 | 30.2 |
| 28.4 | 22.7 |
| 29.4 | 61.5 |
| 34.9 | 31.4 |
| 40.5 | 22.3 |

Crystal structure
Unit cell a=7.484 b=6.280 c=10.428 alpha=90.00 beta=120.64 gamma=90.00
Atoms (fractional coordinates):
1 Cs 0.000 0.000 0.000
2 Cs 0.000 0.500 0.500
3 Ag 0.500 0.000 0.500
4 Ag 0.500 0.500 0.000
5 Cl 0.140 0.009 0.391
6 Cl 0.140 0.491 0.891
7 Cl 0.465 0.731 0.334
8 Cl 0.465 0.769 0.834
9 Cl 0.535 0.231 0.166
10 Cl 0.535 0.269 0.666
11 Cl 0.860 0.509 0.109
12 Cl 0.860 0.991 0.609


No. 2
Starting from a structure optimized by DFT (PBE), the powder diffractogram of SrAlPtO4 was computed for copper Kα.

Most intense lines, 15 to 90 degrees two-theta, sorted by position:
| Position (°2θ) | I/Imax |
| --- | --- |
| 21.3 | 100.0 |
| 28.3 | 52.7 |
| 30.9 | 56.6 |
| 32.2 | 21.2 |
| 32.4 | 63.8 |
| 42.6 | 23.5 |
| 43.4 | 36.5 |
| 52.8 | 23.0 |

Crystal structure
Unit cell a=5.587 b=5.587 c=6.967 alpha=90.00 beta=90.00 gamma=111.36
Atoms (fractional coordinates):
1 Sr 0.000 0.000 0.000
2 Sr 0.000 0.000 0.500
3 Al 0.381 0.619 0.750
4 Al 0.619 0.381 0.250
5 Pt 0.309 0.691 0.250
6 Pt 0.691 0.309 0.750
7 O 0.277 0.723 0.534
8 O 0.277 0.723 0.966
9 O 0.278 0.287 0.250
10 O 0.287 0.278 0.750
11 O 0.713 0.722 0.250
12 O 0.722 0.713 0.750
13 O 0.723 0.277 0.034
14 O 0.723 0.277 0.466


No. 3
Starting from a structure optimized by DFT (PBE), the powder diffractogram of MnPdSe4 was computed for copper Kα.

Most intense lines, 15 to 90 degrees two-theta, sorted by position:
| Position (°2θ) | I/Imax |
| --- | --- |
| 28.9 | 24.7 |
| 29.7 | 21.7 |
| 33.5 | 51.7 |
| 35.3 | 100.0 |
| 48.8 | 33.2 |
| 50.1 | 51.5 |
| 51.4 | 16.2 |
| 61.6 | 24.9 |

Crystal structure
Unit cell a=6.320 b=3.644 c=6.522 alpha=90.00 beta=112.75 gamma=90.00
Atoms (fractional coordinates):
1 Mn 0.000 0.000 0.000
2 Pd 0.500 0.500 0.000
3 Se 0.233 0.000 0.772
4 Se 0.251 0.500 0.226
5 Se 0.749 0.500 0.774
6 Se 0.767 0.000 0.228

=====

Starting from a PBE-relaxed structure, the powder X-ray diffraction pattern of Tb2PrDy2Mg was simulated for Cu Kα.
Kinematic intensities with the Lorentz-polarization factor, no thermal factor.

Structure:
```
Tb2PrDy2Mg
1.0
3.6827 0.0000 0.0000
0.0000 5.5587 0.0000
0.0000 0.0000 18.6458
Tb Pr Dy Mg
4 2 4 2
Direct
0.0000 0.0000 0.1835
0.0000 0.0000 0.8165
0.5000 0.5000 0.3165
0.5000 0.5000 0.6835
0.0000 0.5000 0.5000
0.5000 0.0000 0.0000
0.0000 0.0000 0.3648
0.0000 0.0000 0.6352
0.5000 0.5000 0.1352
0.5000 0.5000 0.8648
0.0000 0.5000 0.0000
0.5000 0.0000 0.5000
```

Peak list (12 most intense, 2θ = 10–80°, low angle first)
d 3.108, I = 48
d 3.097, I = 91
d 3.070, I = 68
d 2.916, I = 97
d 2.779, I = 78
d 2.564, I = 100
d 2.158, I = 28
d 2.072, I = 30
d 1.705, I = 27
d 1.621, I = 27
d 1.583, I = 38
d 1.535, I = 26



Starting from a PBE-relaxed structure, the powder X-ray diffraction pattern of La4Tb2Pm3 was simulated for Cu Kα.
Kinematic intensities with the Lorentz-polarization factor, no thermal factor.

Structure:
```
La4Tb2Pm3
1.0
3.6531 0.0000 0.0000
-1.8266 3.1637 0.0000
0.0000 0.0000 27.5136
La Tb Pm
4 2 3
Direct
0.0000 0.0000 0.0000
0.0000 0.0000 0.2204
0.3333 0.6667 0.3349
0.3333 0.6667 0.5572
0.0000 0.0000 0.6651
0.0000 0.0000 0.8749
0.0000 0.0000 0.4449
0.3333 0.6667 0.1086
0.3333 0.6667 0.7722
```

Peak list (12 most intense, 2θ = 10–80°, low angle first)
d 3.164, I = 54
d 3.057, I = 58
d 2.874, I = 81
d 2.743, I = 100
d 2.604, I = 15
d 2.198, I = 36
d 1.827, I = 42
d 1.759, I = 13
d 1.669, I = 27
d 1.568, I = 48
d 1.542, I = 12
d 1.520, I = 18



Starting from a PBE-relaxed structure, the powder X-ray diffraction pattern of Ce2Sb4Pd3 was simulated for Cu Kα.
Kinematic intensities with the Lorentz-polarization factor, no thermal factor.

Structure:
```
Ce2Sb4Pd3